NTEU President Applauds MSPB Decision Showing Flaws in Federal Career Intern Program

Press Release November 4, 2010

Washington, D.C. —An important decision by a key administrative agency that the Federal Career Intern Program (FCIP) violates a statute relating to veterans’ preferences illustrates one of the fatal flaws in this program, the leader of the nation’s largest independent union of federal employees said today.

President Colleen M. Kelley of the National Treasury Employees Union (NTEU) has been leading the fight to curb widespread agency misuse of the FCIP and eliminate the program, which circumvents traditional civil service merit hiring principles.

“I welcome this highly significant decision by the Merit Systems Protection Board (MSPB), which ratifies NTEU’s longstanding position regarding the illegality of the FCIP,” said President Kelley. NTEU filed a friend-of-the-court brief with the MSPB. NTEU also has a pending suit, which is a more broadly based challenge to the FCIP. That suit challenges the program as applied to all employees, not just veterans, and is awaiting a ruling in federal district court.

NTEU is seeking the prospective elimination of the FCIP along with the conversion of all FCIP hires to the competitive service without loss of pay or benefits.

The cases at issue in the MSPB decision involve two disabled veterans, one of whom was seeking a job with the Department of Veterans Affairs. The Board said it identified two specific legal flaws in the FCIP.

The first flaw is that the program improperly permits agencies to classify a position as being in the excepted service—rather than in the competitive service—after a vacancy announcement is issued, and even after applications are received.

• Between two parts of the article: crystal structures:
/*
VASP calculation (GGA-PBE) on an optimized crystal structure of Rb6F5.

Output
**Crystal system**: monoclinic
**E_form (uncorrected)**: -2.37 eV per atom

a = 7.1688 Å, b = 7.1688 Å, c = 7.1659 Å
α = 99.69°, β = 99.69°, γ = 119.92°
With the nearest neighbours (Å) after each atom.
Positions (direct):
Rb1 0.0651 0.4143 0.7457  5 F 2.82-2.97
Rb2 0.2387 0.2387 0.2629  5 F 2.79-2.94
Rb3 0.4143 0.0651 0.7457  5 F 2.82-2.97
Rb4 0.5857 0.9349 0.2543  5 F 2.82-2.97
Rb5 0.7613 0.7613 0.7371  5 F 2.79-2.94
Rb6 0.9349 0.5857 0.2543  5 F 2.82-2.97
F1 0.0000 0.0000 0.5000  6 Rb 2.79-2.95
F2 0.1675 0.8325 0.0000  6 Rb 2.89-2.94
F3 0.3338 0.6662 0.5000  6 Rb 2.82-2.97
F4 0.6662 0.3338 0.5000  6 Rb 2.82-2.97
F5 0.8325 0.1675 0.0000  6 Rb 2.89-2.94

***

VASP calculation (GGA-PBE) on an optimized crystal structure of TaPb2.

Output
**Crystal system**: tetragonal
**Final energy**: -36.4 eV/cell

a = 5.8359 Å, b = 5.8359 Å, c = 5.8359 Å
α = 103.71°, β = 103.71°, γ = 121.73°
With the nearest neighbours (Å) after each atom.
Positions (direct):
Ta1 0.2500 0.2500 0.0000  2 Ta 2.84, 8 Pb 3.06
Ta2 0.7500 0.7500 0.0000  2 Ta 2.84, 8 Pb 3.06
Pb1 0.1610 0.6610 0.8220  4 Ta 3.06, 3 Pb 3.28-3.37
Pb2 0.3390 0.1610 0.5000  4 Ta 3.06, 3 Pb 3.28-3.37
Pb3 0.6610 0.8390 0.5000  4 Ta 3.06, 3 Pb 3.28-3.37
Pb4 0.8390 0.3390 0.1780  4 Ta 3.06, 3 Pb 3.28-3.37

***

VASP calculation (GGA-PBE) on an optimized crystal structure of Cs2NaPbCl6.

Output
**Crystal system**: cubic
**E_form (uncorrected)**: -1.52 eV per atom

a = 7.7874 Å, b = 7.7874 Å, c = 7.7874 Å
α = 60.00°, β = 60.00°, γ = 60.00°
With the nearest neighbours (Å) after each atom.
Positions (direct):
Cs1 0.2500 0.2500 0.2500  12 Cl 3.89
Cs2 0.7500 0.7500 0.7500  12 Cl 3.89
Na1 0.0000 0.0000 0.0000  6 Cl 2.78
Pb1 0.5000 0.5000 0.5000  6 Cl 2.72
Cl1 0.2529 0.2529 0.7471  1 Pb 2.72, 1 Na 2.78
Cl2 0.2529 0.7471 0.2529  1 Pb 2.72, 1 Na 2.78
Cl3 0.2529 0.7471 0.7471  1 Pb 2.72, 1 Na 2.78
Cl4 0.7471 0.2529 0.2529  1 Pb 2.72, 1 Na 2.78
Cl5 0.7471 0.2529 0.7471  1 Pb 2.72, 1 Na 2.78
Cl6 0.7471 0.7471 0.2529  1 Pb 2.72, 1 Na 2.78

***

Asked for ρ across the records above, the calculation gives 3.36 13.39 3.52 g/cm3 in order.

~~~~~

1.
DFT (PBE) results for Y4AsP3 after structural relaxation.

Structure (CIF):
```
data_Y4AsP3
_chemical_formula_sum 'Y8 As2 P6'
_cell_length_a 8.087
_cell_length_b 11.431
_cell_length_c 4.041
_cell_angle_alpha 90.00
_cell_angle_beta 90.00
_cell_angle_gamma 90.00
_symmetry_space_group_name_H-M 'C m m m'
_symmetry_Int_Tables_number 65
_symmetry_space_group_name_Hall '-C 2 2'
loop_
_atom_site_label
_atom_site_fract_x
_atom_site_fract_y
_atom_site_fract_z
Y1 0.000 0.248 0.000
Y2 0.245 0.000 0.500
As1 0.000 0.500 0.000
P1 0.000 0.000 0.000
P2 0.250 0.250 0.500
```

Magnetic moment   0.000 μB/atom
Calculated volume   373.5 Å³ per cell
Formation energy   -1.607 eV/atom



2.
DFT (PBE) results for YAsP after structural relaxation.

Structure (CIF):
```
data_YAsP
_chemical_formula_sum 'Y1 As1 P1'
*/

The second, the MSPB said, is that the positions can be placed in the excepted service without a showing, as required by statute, that such a decision is “necessary” for conditions of “good administration.”

In one case, a veteran alleged he was unable to apply for a position because he was not aware of vacancies; openings to be filled under the FCIP are not subject to the same public notice requirements as are competitive service jobs. In the other, a veteran applied for one of nine VA vacancies under an announcement limited to eligible veterans—but the agency filled all nine positions using the FCIP.

The FCIP was designed to provide two-year structured training and development internships; instead, a number of agencies have come to use it for all new hires.

Often, agencies use it to undercut the competitive hiring process in ways that limit promotion opportunities for current employees.

The MSPB decision comes at a time when the Office of Personnel Management, acting in response to a presidential directive earlier this year, is reviewing the FCIP and making recommendations to the administration about the future of the program.

As the largest independent federal union, NTEU represents more than 150,000 employees in 31 agencies and departments.
